

By Dennis Sadowski, Catholic News Service     1/7/2015

WASHINGTON (CNS) — How people value space exploration may just depend on someone’s particular faith.

An analysis of the results of several national surveys by a University of Dayton political science professor found that Catholics are more supportive of the U.S. maintaining a leading role in probing the depths of space and the search for extraterrestrial intelligence than people of other faiths.

Political scientist Joshua Ambrosius told Catholic News Service evangelical Protestants, on the other hand, are significantly less likely than people of other faiths to see the value of the nation’s space endeavors. Evangelicals also tended to have less knowledge about space, he said.

Molecular data, kept here for reference
The following is a DFT calculation (wB97M-V/def2-TZVPD) of a molecular structure, C38H45Br2INO2PSc.

CARTESIAN COORDINATES (ANGSTROEM)
Sc 0.11 -0.07 0.54
I 3.09 0.50 0.44
C 2.74 2.56 0.23
C 3.81 3.41 0.29
C 3.59 4.79 0.11
C 2.32 5.25 -0.13
C 1.22 4.36 -0.20
C -0.08 4.85 -0.46
C -1.14 3.99 -0.51
C -0.94 2.61 -0.29
C 0.30 2.05 -0.03
C 1.41 2.97 0.00
H 4.81 3.04 0.47
H 4.42 5.47 0.16
H 2.14 6.30 -0.28
H -0.22 5.91 -0.62
H -2.13 4.36 -0.72
H -1.82 1.97 -0.33
C 1.54 0.73 3.80
C 0.11 0.31 3.87
C -0.53 0.22 5.12
C -1.85 -0.11 5.21
C -2.59 -0.34 4.03
C -3.98 -0.62 3.98
Br -4.97 -0.77 5.58
C -4.62 -0.77 2.78
C -3.90 -0.67 1.57
Br -4.83 -0.80 -0.05
C -2.54 -0.44 1.56
O -1.81 -0.37 0.47
C -1.89 -0.26 2.81
N -0.54 0.03 2.74
H 1.86 1.14 4.75
H 1.68 1.50 3.03
H 2.19 -0.11 3.56
H 0.04 0.44 6.01
H -2.35 -0.17 6.17
H -5.68 -0.96 2.75
O 0.72 -1.88 -0.24
P 1.39 -3.25 -0.40
C 2.67 -3.44 0.89
C 3.16 -4.90 1.12
C 3.67 -5.09 2.55
C 4.44 -3.85 3.01
C 3.49 -2.65 3.13
C 2.26 -2.80 2.23
C 2.03 -3.36 -2.10
C 2.54 -2.03 -2.69
C 4.03 -1.78 -2.46
C 4.86 -2.94 -2.97
C 4.47 -4.21 -2.23
C 2.99 -4.54 -2.40
C 0.19 -4.61 -0.27
C -0.33 -4.86 1.16
C -1.38 -3.85 1.61
C -2.51 -3.70 0.57
C -2.34 -4.64 -0.62
C -0.98 -4.39 -1.27
H 3.52 -2.85 0.51
H 3.96 -5.12 0.42
H 2.37 -5.62 0.92
H 4.30 -5.98 2.59
H 2.84 -5.28 3.24
H 5.23 -3.64 2.28
H 4.94 -4.03 3.96
H 4.02 -1.73 2.88
H 3.15 -2.54 4.17
H 1.80 -1.82 2.07
H 1.50 -3.42 2.71
H 1.08 -3.58 -2.62

Why evangelicals are less supportive of the various facets of space exploration is uncertain, but having grown up in an evangelical family, Ambrosius said he can understand some possible reasons.

“In my family, there wasn’t a lot of discussion about science and its relevance. I had influences that would question the findings and contributions of modern science, particularly the view of evolutionary origins (of humans). I grew up in a church and a tradition very oriented around creation science. It wasn’t until I was an older teenager and in college (that) I turned to accept the scientific explanation of evolution,” he said.

**The entry is interrupted by records of molecules**
# C5H8N2

A 2-piece molecular cluster, C5H8N2 overall (wB97M-V/def2-TZVPD, the OMol25 dataset).

Structure (XYZ):
```
15
Properties=species:S:1:pos:R:3:nbo_charge:R:1
C 0.78794 -0.92526 1.49432 0.011
N -0.60697 -0.79221 1.75349 -0.843
N 1.36819 -2.16246 0.81203 -0.321
H -0.88550 -1.33204 2.56720 0.368
H -2.23991 0.79675 -1.85058 0.181
C -1.23494 0.55431 -1.49469 -0.444
H -1.03394 -0.52429 -1.48427 0.166
H 1.40406 -0.50492 2.28798 0.175
H 1.55597 -0.70128 -0.81658 0.211
C 1.32451 -1.07935 0.17292 0.032
H 0.56184 1.94888 -2.44131 0.226
H -1.17117 -1.09228 0.96432 0.367
C -0.11085 1.52296 -1.71364 -0.201
H -0.54434 1.76318 0.52997 0.242
C -0.56002 1.45712 -0.50400 -0.170
```

The energy relative to the best compared isomer or geometry (same formula, charge and spin) is 5.011 eV. The LUMO energy comes out at 1.11 eV. The SMILES is N[C@@H]1C=N1.C1=CC1. The value obtained for the HOMO-LUMO gap is 0.378 hartree. Its calculated total energy is -304.65133 hartree. For the HOMO energy, the calculation gives -0.337 Eh.

Ambrosius studied various factors outlined in four surveys, including knowledge of space, interest in space, support for funding of space exploration, views on the benefits of space exploration, space optimism and space nationalism — whether the U.S. should be a leader in space exploration.

He analyzed data from the 2010 General Social Survey of the National Opinion Research Center at the University of Chicago; the June 2011 Political Survey of the Pew Research Center for the People and the Press; the April 2010 Political Future Survey and the spring 2009 General Public Science Survey. He broke down responses from Catholics, evangelicals, mainline Protestants, Jews, Eastern religions and people with no religion.

_Attached: molecular data_
~~~
A molecular structure, C4H9NO2. Source: the OMol25 dataset; level of theory: the ωB97M-V functional and the def2-TZVPD basis.

## Properties
* M: 103.12 g/mol
* LUMO energy: 0.499 eV
* energy relative to the best compared isomer or geometry (same formula, charge and spin): 4.475 eV
* highest occupied orbital energy: -0.312 hartree
* net charge: 0

Cartesian coordinates (Å):
1 N 0.31885 0.50808 1.97908
2 C 0.09877 1.70174 1.44917
3 O 0.03521 2.83065 2.01230
4 C -0.25702 2.35066 0.25957
5 C 0.19932 -0.29836 -1.56120
6 C -0.40626 -1.61733 -1.12779
7 O -0.16561 -1.77984 0.27108
8 H 0.35106 0.43345 2.98566
9 H 0.20712 -0.33396 1.41356
10 H -0.35453 0.54475 -1.12776
11 H 0.64808 2.73683 -0.22860
12 H 0.16383 -0.20366 -2.65097
13 H 1.24706 -0.24387 -1.24539
14 H -1.48605 -1.62329 -1.33219
15 H 0.05004 -2.45215 -1.67848
16 H -0.64987 -2.55369 0.58196


Record 1
Formula: C3H3BrCl2
Source: the Open Molecules 2025 dataset
Level of theory: ωB97M-V/def2-TZVPD

Values from the calculation:
* HOMO energy: -9.31 eV
* SMILES string: ClC1=C(Cl)C1.Br
* lowest unoccupied orbital energy: 0.64 eV
* frontier orbital gap: 9.95 eV

```
! wB97M-V def2-TZVPD RIJCOSX def2/J DEFGRID3
* xyz 0 1
Cl 0.01113 -0.59735 -2.25892
C -0.72108 -0.31658 -0.80429
C -1.00593 -0.59285 0.44798
Cl -1.17092 -1.65038 1.71954
C -0.93262 0.88963 0.16255
H -0.01281 1.29191 0.62820
H -1.67170 1.63268 0.24609
Br 3.36020 -0.05052 -0.06492
H 2.14374 -0.60655 -0.07621
*
```



Record 2
Formula: C3H3BrCl2
Source: the Open Molecules 2025 dataset
Level of theory: ωB97M-V/def2-TZVPD

Values from the calculation:
* HOMO energy (alpha / beta): -8.48 / -8.29 eV
* lowest unoccupied orbital energy (alpha / beta): -0.21 / -0.56 eV
* frontier orbital gap (alpha / beta): 8.26 / 7.72 eV

```
! wB97M-V def2-TZVPD RIJCOSX def2/J DEFGRID3
* xyz 0 1
C 0.13311 -0.24462 -0.43859
C -0.45451 -0.30815 0.95879
C -0.87587 -0.10049 -1.55545
Cl -1.33815 -1.63668 1.23283
Cl -1.82554 -1.56706 -1.80031
Br -1.76356 1.62849 -1.89594
H 0.98075 0.53922 -0.66394
H 0.66779 -1.28032 -0.58458
H -0.59382 0.55195 1.51847
*
```



Record 3
Formula: C3H3BrCl2
Source: the Open Molecules 2025 dataset
Level of theory: ωB97M-V/def2-TZVPD

Values from the calculation:
* HOMO energy (alpha / beta): -7.41 / -10.10 eV
* lowest unoccupied orbital energy (alpha / beta): 0.70 / -1.79 eV
* frontier orbital gap (alpha / beta): 8.10 / 8.32 eV

```
! wB97M-V def2-TZVPD RIJCOSX def2/J DEFGRID3
* xyz 0 3
C 1.62888 -0.04639 -0.17416
C 0.51270 0.59669 -0.48134
C -2.07415 -0.12460 0.98362
Cl -0.34859 1.45965 0.75399
Cl -1.42903 -1.66455 1.39007
Br -2.58719 -0.03505 -0.80478
H 2.24821 -0.66805 -0.98361
H 2.20869 -0.21377 0.67029
H -0.15950 0.69607 -1.35409
*
```



Record 4
Formula: C3H3BrClF
Source: the Open Molecules 2025 dataset
Level of theory: ωB97M-V/def2-TZVPD

Values from the calculation:
* HOMO energy: -9.40 eV
* lowest unoccupied orbital energy: -1.30 eV
* frontier orbital gap: 8.10 eV

```
! wB97M-V def2-TZVPD RIJCOSX def2/J DEFGRID3
* xyz 0 1
~~~

“Evangelicals express significantly higher expectations that an asteroid will hit earth, but significantly lower expectations of the discovery of life off the earth,” he said in his report, “Separation of Church and Space: Religious Influences on Support for Space Exploration Policy.”

Ambrosius presented his report in November at the Society for the Scientific Study of Religion conference in Indianapolis.

He found that evangelicals are the least knowledgeable, interested and supportive of space exploration. He also learned that Jews and members of Eastern religions were most knowledgeable and supportive.

Evangelicals also are more certain that Jesus will return in the next 40 years than they are that humans will make significant progress in space exploration during that time, Ambrosius wrote.

For Catholics, the depth of the practice of their faith does not seem to matter when it comes to supporting the country’s space program. Ambrosius’ analysis found that there was no difference in the support of space exploration between Catholics who attend Mass weekly and those who attend less often.

The political scientist said he planned to look at the connection between the teachings of evangelical leaders and views of people in the pews regarding space.

“There seems to be a role that church leaders, particularly among evangelicals, play in developing space policy and space exploration,” Ambrosius explained.

The findings are significant because evangelical Christians could influence policymaking when it comes to funding space exploration. Evangelicals comprise about 26 percent of the U.S. population, according to the Religious Landscape Survey of the Pew Research Center’s Religion and Public Life Project, and if they are elected to policymaking positions, they could affect federal spending on space exploration and research into the possibility of colonizing other planets, Ambrosius said.

“Definitely the space community needs to build upon this interplay of outreach to religious publics,” he added.